May 11, 2014

Modular UIViewController Features

This article is an edited version of a University of Waterloo work term report, “Modular UIViewController Implementations” for Endemic Mobile Inc., where I interned from September 2013–April 2014. Thank you to the Endemic team for everything I learned about maintainability and native mobile development in those 8 months.

In iOS mobile applications, UIViewController subclasses are often the largest and most complex source code files in a project repository. Complexity arises naturally from the nature of the features that controllers contain; syncing up to multiple data sources to show content to a user, performing image processing in the background, etc. This makes UIViewController a prime candidate for careful modular design.

Modular code is a crucial aspect of a maintainable codebase. Dave Thomas, one of two authors of The Pragmatic Programmer: From Journeyman to Master (Hunt, 2000) writes,

… if you have more than one way to express the same thing, at some point the two or three different representations will most likely fall out of step with each other. Even if they don’t, you’re guaranteeing yourself the headache of maintaining them in parallel whenever a change occurs. And change will occur. [The “don’t repeat yourself” software engineering principle] is important if you want flexible and maintainable software.

Base classes are one strategy for writing modular controllers. This is well suited for framework-level functionality that a team would like to be available to every controller they write. Sometimes, it is even a good way to give a specific set of controllers functionality. However, this doesn’t always work for a complex feature set. If a controller needs feature A and feature B, then since Objective C doesn’t support multiple inheritance, it can’t inherit the functionality from both AViewController and BViewController; another strategy is needed.

This article discusses two different strategies for implementing a module for a UIViewController feature. First, an example feature specification will be implemented directly in a controller with no module. The implementation will then be made modular with the use of a helper class. Finally, after an introduction to categories and associated objects, a second modular implementation will be given that uses categories. As these two module implementations each have pros and cons, at the end of this article they will be compared.

The content of this article assumes that the reader has basic knowledge and understanding of iOS development and the Objective-C programming language.

Sharing Photos

Consider an example feature specification, which will accompany the rest of this article. In a mobile application, users have set each of their accounts up with an avatar. This feature would allow them to share their avatars to a social network of their choosing. The user interface for this feature is a button and a list of options; users will first tap the button to access a list of social networks to share the avatar to, and then select from the list to share the photo.

Additionally, this feature should appear in several places in the application. Perhaps this will happen in the app where the user sees his or her profile, or in the place where the user views photos, etc. Where this feature appears is not as important as the fact that it has to be implemented in several UIViewControllers.

Although the goal is to implement a module for this feature, first it will be implemented via copy-and-paste into each UIViewController as follows.

@implementation MyViewController : UIViewController 

// Note: This code snippet only includes relevant pieces of code, and leaves
// out a lot of other boilerplate code that would be involved in actually 
// implementing a UIViewController

// Share button
@synthesize shareButton;
// UIImage avatar
@synthesize avatar;

- (void)viewDidLoad {
    // Set up the share button
    [shareButton addTarget:self action:@selector(shareButtonTapped) 

- (void)shareButtonTapped {
    // Show the user the sharing options
    UIActionSheet *popup = [[UIActionSheet alloc] 
                  initWithTitle:@"Select Sharing option:" 
              otherButtonTitles:@"Share on Facebook", 
                                @"Share on Twitter", nil];
    [popup showInView:self.view];

- (void)actionSheet:(UIActionSheet *)actionSheet 
            didDismissWithButtonIndex:(NSInteger)buttonIndex {
    if (buttonIndex == 0) {
        [self share:@"facebook"];
    } else if (buttonIndex == 1) {
        [self share:@"twitter"];

- (void)share:(NSString *)type {
    if (avatar) {
        // Hide the progress dialog and share using social APIs based on type...
    } else {
        // Asynchronously download and process avatar picture on other thread &
        // initialize avatar and call this method again
        // ...

        // Show a progress dialog while waiting for downloading and processing
        // to complete
        // ...


Helper Class Modules

The transition to a more modular design is not terribly difficult. However, there are several caveats. One concern is that whatever module that encapsulates this logic must be able to access certain properties of the controller (in this photo sharing example, a property of the controller that needs to be accessed is the view property). Another concern is that this module needs to have mutable state; with the current non-modular design, the avatar UIImage needs to be stored somehow. Finally, the module must be able to expose a method, so that interfaces such as addTarget:action:forControlEvents: can be used.

With these issues in mind, all the logic that was implemented for the controller can be put into a helper class. Since most of the getter methods for UIViewController are public, we can just keep a reference to the controller in the helper class to access the view property. We can also keep the UIImage stored as a property. Finally, the helper class can serve as a target for an instance method that is defined on it. Here is some sample code for the new helper class, along with the updated source code for MyViewController.

// ShareAvatarHelper.m
@implementation ShareAvatarHelper

// Controller
@synthesize controller;
// UIImage avatar
@synthesize avatar;

- (id)initWithController:(UIViewController *)c {
    if (self = [super init]) {
        controller = c;
    return self;

- (void)shareButtonTapped {
    // Select the sharing option
    UIActionSheet *popup = [[UIActionSheet alloc] 
                  initWithTitle:@"Select Sharing option:" 
              otherButtonTitles:@"Share on Facebook", 
                                @"Share on Twitter", nil];
    [popup showInView:controllerView];

- (void)actionSheet:(UIActionSheet *)actionSheet 
            didDismissWithButtonIndex:(NSInteger)buttonIndex {
    // same as before

- (void)share:(NSString *)type {
    // same as before

// MyViewController.m
#import "ShareAvatarHelper.h"

@implementation MyViewController

// Share button
@synthesize shareButton;
// Share helper
@synthesize shareHelper;

- (void)viewDidLoad {
    // Set up the share helper object
    shareHelper = [[ShareAvatarHelper alloc] initWithController:self];

    // Set up the share button
    // Note: The target is now shareHelper
    [shareButton addTarget:shareHelper action:@selector(shareButtonTapped) 


Note that it is critical to keep a retained reference to the helper object after it has been allocated. Most objects that contain delegates (i.e. UIActionSheet, UIAlertView) hold an assign reference to the delegate; this means that these interfaces won’t retain their delegates (UIActionSheet Class Reference, 2013; UIAlertView Class Reference, 2014). The addTarget:action:forControlEvents interface does not retain target, either (UIControl Class Reference, 2011). If the helper object is not retained as a property or otherwise, it will be garbage collected after the scope of the method ends and the components will produce a segmentation fault whenever they try to execute a method on it.

But, when properly implemented, this is much better! A method defined within ShareAvatarHelper is set to be called for the UIControl event. The integration of the module in a controller is concise: just import the ShareAvatarHelper header file, add the new helper property, initialize the helper in a controller initialization method, and hook it up to the user interface.

Although iOS mobile application developers are fortunate that it is already this easy to “add a method” to a controller, there is another good alternative. In particular, instead of implementing a helper object that contains the functionality in an instance method, using Objective-C’s categories allows developers to implement a helper method.

Category Modules

Categories are, in essence, method modules. According to the Apple developer documentation, “a category can be declared for any class, … [and] at runtime, there’s no difference between a method added by a category and one that is implemented by the original class.” Note that any method that is defined in the implementation file for a category will be added to a class at runtime, not just ones that are declared in the header file.

Remember that the requirements for these helper modules were that it could access the properties of the controllers that use it, that it had mutable state, and that it exposed a method for the functionality. There are two major concerns when using Objective-C categories as a helper module under these conditions. The first is that declaring the same method in two places (i.e. in two categories, or in one category as well as in an original implementation) produces undefined behaviour. The second concern is that categories don’t (really) have properties.

Writing Safe Method Declarations

The following is a warning from Apple docs about Objective-C categories.

If the name of a method declared in a category is the same as a method in the original class, or a method in another category on the same class (or even a superclass), the behavior is undefined as to which method implementation is used at runtime (Programming With Objective-C: Customizing Existing Classes, 2012).

That’s scary. If a category is applied to a controller, and the methods that are added by the category do not follow a special naming convention, then subtle bugs will likely appear. There are no warnings shown in the XCode development environment when a method is declared twice in two different places. The method that is being declared for the second time might even work as expected if the runtime happens to choose it—but the method implementation that was declared in the other place won’t ever be executed.

A disciplined developer can use the following two techniques to write category code that is much less easy to break. A simple naming convention is the first: prepending methods names exposed by the category with some shorthand of the name of the category. For example, the method exposed by the category implementation of this article’s example feature module will be shareav_shareButtonTapped.

The second technique is to hide any helper methods that do not need to be exposed to the controller. In practice, this may not be necessary as certain features can be implemented entirely in a single method. However, one way to perform this encapsulation is to instantiate a helper class within the method exposed by the category, and use Objective-C’s associated objects framework to retain that reference for the lifetime of the controller. This is how the example avatar sharing feature category module will be implemented: ShareAvatarHelper will be used within the category!

Using Associated Objects

An associated object is essentially a dynamic property. Using the Objective-C runtime framework, a developer can set and get associated objects of some target object using a key as follows:

#import "objc/runtime.h"

// Associated objects are accessed via a constant void* key.
// This value is like an identifier.

@implementation MyClass : NSObject

// NSString
@synthesize myProperty;

• The text is interrupted by crystal structures:
DFT (PBE with a Hubbard U) results for a relaxed TiFeP2O crystal.

* space-group type: P4/mmm
* M_tot: 0.779 μB per atom
* energy above the most stable polymorph in this dataset: 0.00 kcal/mol of atoms

POSCAR file:
```
TiFeP2O
1.0
4.877 0.000 0.000
0.000 4.877 0.000
0.000 0.000 3.660
Ti Fe P O
1 1 2 1
direct
0.000 0.000 0.000
0.500 0.500 0.500
0.000 0.500 0.000
0.500 0.000 0.000
0.000 0.000 0.500
```


No. 1
Below is crystalline Ca2Al3Ga at its relaxed geometry, with properties calculated at the PBE level.

Excess energy over the best structure of this formula in the dataset (meV/atom): 0
SG: No. 166
E_form (kJ/mol of atoms): -36

Cell: 5.6238 5.6238 5.6693 Å, 90.04 119.75 119.94°
Atoms (fractional coordinates):
Al: 0.5000 0.5000 0.5000
Al: 0.5000 0.0000 0.5000
Al: 0.0000 0.0000 0.5000
Ca: 0.7506 0.3750 0.1256
Ca: 0.2494 0.6250 0.8744
Ga: 0.0000 0.0000 0.0000



No. 2
Below is crystalline Mn4CoCl at its relaxed geometry, with properties calculated at the PBE level.

SG: No. 216
Formation energy (no corrections) (eV per atom): 0.884

Cell: 4.7990 4.7990 4.7990 Å, 60.00 60.00 60.00°
Site moments in Bohr magnetons follow the coordinates.
Atoms (fractional coordinates):
Cl: 0.7500 0.7500 0.7500  0.05
Co: 0.0000 0.0000 0.0000  1.65
Mn: 0.3748 0.8757 0.3748  1.66
Mn: 0.8757 0.3748 0.3748  1.66
Mn: 0.3748 0.3748 0.8757  1.66
Mn: 0.3748 0.3748 0.3748  1.66



No. 3
Below is crystalline SrP2Ru at its relaxed geometry, with properties calculated at the PBE level.

Excess energy over the best structure of this formula in the dataset (meV/atom): 907
SG: No. 65
E_form (kJ/mol of atoms): 21

Cell: 4.6484 4.6484 3.4808 Å, 90.00 90.00 103.01°
Atoms (fractional coordinates):
Ru: 0.5000 0.0000 0.5000
P: 0.5000 0.5000 0.0000
P: 0.0000 0.0000 0.0000
Sr: 0.0000 0.5000 0.5000



No. 4
Below is crystalline ZrAg2Os at its relaxed geometry, with properties calculated at the PBE level.

Excess energy over the best structure of this formula in the dataset (meV/atom): 220
SG: No. 12
E_form (kJ/mol of atoms): 28

Cell: 5.8108 5.8108 3.0404 Å, 76.10 76.10 124.37°
Site moments in Bohr magnetons follow the coordinates.
Atoms (fractional coordinates):
Os: 0.5000 0.0000 0.5000  0.33
Zr: 0.0000 0.5000 0.5000  -0.02
Ag: 0.5000 0.5000 0.0000  0.00
Ag: 0.0000 0.0000 0.0000  0.00



No. 5
Below is crystalline UAu6 at its relaxed geometry, with properties calculated at the PBE level.

Excess energy over the best structure of this formula in the dataset (meV/atom): 0
SG: No. 62
E_form (kJ/mol of atoms): -6

Cell: 5.6663 9.0682 11.0822 Å, 90.00 90.00 90.00°
Site moments in Bohr magnetons follow the coordinates.
Atoms (fractional coordinates):
Au: 0.2500 0.6579 0.3407  0.00
Au: 0.7500 0.9340 0.0768  -0.01
Au: 0.5080 0.5542 0.8055  0.01
Au: 0.4920 0.9458 0.3055  0.01
Au: 0.2500 0.8853 0.5220  0.00
Au: 0.7500 0.3421 0.6593  0.00
Au: 0.9920 0.0542 0.6945  0.01
Au: 0.5080 0.0542 0.6945  0.01
Au: 0.0080 0.9458 0.3055  0.01
Au: 0.7500 0.6896 0.2799  0.00
Au: 0.2500 0.5660 0.5768  -0.01

- (void)myMethod {
    // Setting and getting myProperty using getter and setter methods
    [self setMyProperty:@"Hello!"];
    NSLog(@"%@", [self myProperty]);

    // Setting and getting an associated object using the Objective-C runtime
    // framework.

    // Note: using OBJC_ASSOCIATION_RETAIN_NONATOMIC is the same as declaring
    // a property with (retain, nonatomic) keywords in the header file.

    objc_setAssociatedObject(self, MY_ASSOCIATED_OBJECT_KEY, 
            @"Hello, associated objects!", OBJC_ASSOCIATION_RETAIN_NONATOMIC);
    NSLog(@"%@", objc_getAssociatedObject(self, MY_ASSOCIATED_OBJECT_KEY));


The implementation for the example feature category module will use the associated objects framework to properly retain the helper class for the lifetime of the controller.

Implementing an Avatar Sharing Category

Bringing the ideas detailed in the previous sections together, and using the previously-implemented ShareAvatarHelper class, here is an implementation of an avatar sharing category for controllers.

// UIViewController+ShareAvatar.m
#import "objc/runtime.h"
#import "ShareAvatarHelper.h"


@implementation UIViewController (ShareAvatar)

-(void)shareav_shareButtonTapped {
    // Create a ShareAvatarHelper and associate it with `self`.
    // Note that `self` is the instance of the controller that this category has
    // been applied to.
    ShareAvatarHelper *helper = [[ShareAvatarHelper alloc] initWithController:self];
    objc_setAssociatedObject(self, SHARE_AVATAR_IMPL_KEY, helper, OBJC_ASSOCIATION_RETAIN_NONATOMIC);

    // Call the shareButtonTapped method in the helper object
    [helper shareButtonTapped];

// MyViewController.m
#import "UIViewController+ShareAvatar.h"

@implementation MyViewController : UIViewController

// Share button
@synthesize shareButton;

- (void)viewDidLoad {
    // Set up the share button
    [shareButton addTarget:self action:@selector(shareav_shareButtonTapped)

This category module implementation has satisfied all the requirements of the example module. It holds mutable state using the helper class and some clever usage of the associated objects framework. It gets access to controller properties by default, since it is a category of UIViewController. Lastly, of course, it exposes a method; that is the very point of categories!

Category Modules vs. Helper Class Modules

The implementation of MyViewController using the category is even simpler than using the helper class. There are no extra properties needed, and no helper class initialization to be done. The developer that integrates this module does not have to worry about retaining an instance of the helper class. The #import directive adds the shareav_shareButtonTapped method to the class automatically, and since the method’s name is prefixed by the name of the category, there shouldn’t be any double method declaration issues. Additionally, using categories is something that most iOS developers have experience with; there are several commonly-used open source categories available to add helpful methods to objects such as UIColor and UIImage.

That being said, there is some extra complexity in the implementation of a category module as opposed to a regular helper class module. In making the integration of the module simpler, the implementation has used two relatively obtuse pieces of the Objective-C framework: categories and associated objects. While it is true that developers who are integrating helper class modules have to make sure to properly retain the instances of the helper object, categories and associated objects are concepts that don’t often have equivalents in other programming languages. This means that a developer that is not familiar with Objective-C would likely not be able to use their knowledge of other programming languages to understand how a category module that uses associated objects works. In different ways, both strategies require a certain level of expertise with the Objective-C language.


Hunt, A., & Thomas, D. (2000). The Pragmatic Programmer: From Journeyman to Master. Reading, Mass.: Addison-Wesley.

Programming With Objective-C: Customizing Existing Classes. (2012, December 13). Retrieved May 2, 2014, from

UIActionSheet Class Reference. (2013, September 12). Retrieved May 2, 2014, from

UIAlertView Class Reference. (2014, February 11). Retrieved May 2, 2014, from

UIControl Class Reference. (2011, September 28). Retrieved May 2, 2014, from